Europe's Worst Problem is Not Russia

He’s delusional

Disregarding passages in the Bible is wholly permissible. In Islam it is a sign of heresy and often the result is a loss of one foot of physical stature. It’s also inadvisable to become an Islamic apostate. In Islamic schools right here in the USA, students are taught the traditional penalty for apostasy which like many other Islamic violations is DEATH. We’ve also got a cliterectomy problem occurring in America. Muslim child mutilation is alive and well in Michigan and in Minnesota. In Dearborn, they’re screaming for Sharia law. Already in the UK certain venues have Sharia law. In Sweden, once the safest nation on earth, Muslim rape has turned the country into the rape capital of Europe. A Swedish woman now has a one in four chance of being raped during her lifetime.

Record 1
The following is a computed X-ray diffraction stick pattern of Cd2HgSe2S. It was derived from DFT lattice parameters and positions (PBE), using Cu Kα.
Peak positions follow from Bragg's law for the DFT cell and can differ from measured ones.

Structure:
```
Cd2HgSe2S
1.0
6.4989 -3.7509 0.0000
6.4989 3.7509 0.0000
0.0000 0.0000 7.0804
Cd Hg Se S
4 2 4 2
Direct
0.0100 0.6663 0.5000
0.3337 0.9900 0.5000
0.6663 0.0100 0.0000
0.9900 0.3337 0.0000
0.3412 0.6588 0.9842
0.6588 0.3412 0.4842
0.0005 0.6669 0.1207
0.3331 0.9995 0.1207
0.6669 0.0005 0.6207
0.9995 0.3331 0.6207
0.3348 0.6652 0.6163
0.6652 0.3348 0.1163
```

Main lines, by angle (2θ from 10° to 90°):
| Position (°2θ) | I (rel.) |
| --- | --- |
| 23.72 | 85 |
| 25.16 | 54 |
| 26.90 | 100 |
| 34.84 | 35 |
| 41.70 | 75 |
| 45.40 | 77 |
| 49.32 | 51 |
| 63.33 | 28 |
| 71.17 | 18 |
| 78.73 | 29 |

***

Record 2
The following is a computed X-ray diffraction stick pattern of Cs6CdIn. It was derived from DFT lattice parameters and positions (PBE), using Cu Kα.
Peak positions follow from Bragg's law for the DFT cell and can differ from measured ones.

Structure:
```
Cs6CdIn
1.0
5.1911 0.0000 0.0000
0.0000 7.8328 8.3968
0.0000 -7.8328 8.3968
Cs Cd In
6 1 1
Direct
0.0000 0.0000 0.0000
0.0000 0.1504 0.4503
0.0000 0.4503 0.1504
0.5000 0.3279 0.7602
0.5000 0.7224 0.7224
0.5000 0.7602 0.3279
0.0000 0.5127 0.5127
0.5000 0.4309 0.4309
```

Main lines, by angle (2θ from 10° to 90°):
| Position (°2θ) | I (rel.) |
| --- | --- |
| 17.79 | 23 |
| 18.77 | 34 |
| 21.16 | 31 |
| 23.12 | 100 |
| 23.30 | 28 |
| 24.06 | 58 |
| 25.09 | 33 |
| 29.02 | 34 |
| 29.65 | 28 |
| 34.56 | 25 |

***

Record 3
The following is a computed X-ray diffraction stick pattern of Dy3InO6. It was derived from DFT lattice parameters and positions (PBE), using Cu Kα.
Peak positions follow from Bragg's law for the DFT cell and can differ from measured ones.

Structure:
```
Dy3InO6
1.0
4.4804 -5.6148 0.0000
4.4804 5.6148 0.0000
0.0000 0.0000 5.5983
Dy In O
6 2 12
Direct
0.1003 0.8997 0.5000
0.1977 0.4101 0.5538
0.4101 0.1977 0.0538
0.5899 0.8023 0.5538
0.8023 0.5899 0.0538
0.8997 0.1003 0.0000
0.3170 0.6830 0.0690
0.6830 0.3170 0.5690
0.0679 0.6013 0.2760
0.1420 0.1791 0.2758
0.1791 0.1420 0.7758
0.2807 0.7193 0.7112
0.3987 0.9321 0.2760
0.4750 0.5250 0.2763
0.5250 0.4750 0.7763
0.6013 0.0679 0.7760
0.7193 0.2807 0.2112
0.8209 0.8580 0.2758
0.8580 0.8209 0.7758
0.9321 0.3987 0.7760
```

Main lines, by angle (2θ from 10° to 90°):
| Position (°2θ) | I (rel.) |
| --- | --- |
| 30.10 | 100 |
| 30.41 | 33 |
| 30.98 | 12 |
| 31.94 | 33 |
| 45.12 | 16 |
| 45.77 | 16 |
| 50.87 | 18 |
| 55.82 | 14 |
| 59.52 | 14 |
| 61.35 | 12 |

***

Record 4
The following is a computed X-ray diffraction stick pattern of Tb7Pr4Ho. It was derived from DFT lattice parameters and positions (PBE), using Cu Kα.
Peak positions follow from Bragg's law for the DFT cell and can differ from measured ones.

Structure:
```
Tb7Pr4Ho
1.0
6.5896 0.0000 0.0000

There is no equivalency in theology between Judaeo-Christianism and Islam. Islam was not written by Mohammad. It represents the words of Allah not his prophet. Conversely, books of the Bible were written by men not by God. Since Allah can never be mistaken, Islam can never be modernized.

# The piece is interrupted by crystal structures
PrNd2Y8: theoretical powder diffractogram (Cu Kα, 1.54184 Å), based on a crystal structure in Alexandria, relaxed with GGA-PBE.
Neutral-atom scattering factors, no anomalous dispersion.

Crystal structure
a b c (Å): 16.7404 6.6992 6.7296
angles (deg): 90.00 98.99 90.00
Space group C2/m (No. 12)
Inequivalent atoms, fractional coordinates:
1 Pr 0.0000 0.0000 0.0000 [2 per cell]
2 Nd 0.2456 0.0000 0.3101 [4 per cell]
3 Y 0.0881 0.5000 0.9032 [4 per cell]
4 Y 0.0890 0.2618 0.4049 [8 per cell]
5 Y 0.2048 0.0000 0.8029 [4 per cell]

Top 12 peaks for 10 to 90 degrees two-theta, in order of rising 2θ:
| 2theta | I (rel.) | hkl |
| --- | --- | --- |
| 23.50 | 21 | 4 0 -1 |
| 28.76 | 25 | 2 2 0 |
| 29.87 | 48 | 0 2 1 |
| 30.14 | 49 | 5 1 0 |
| 30.52 | 91 | 2 0 2 |
| 31.26 | 56 | 5 1 -1 |
| 32.11 | 73 | 3 1 -2 |
| 32.53 | 100 | 2 2 1 |
| 34.46 | 42 | 4 2 0 |
| 38.50 | 22 | 2 2 -2 |
| 49.99 | 22 | 5 3 -1 |
| 57.19 | 21 | 4 2 3 |

I agree religions are ridiculous, but one religion has fomented more suffering and inequality than any other. Ergo, Islam is mankind’s worse religion. Warden, you need to read more Robert Spencer to update your knowledge of comparative religions. Spencer speaks Arabic, visits many mosques, and knows more about Islam than do many Islamic Imams. Not long ago, a treatise on women was released by the Islamic University of Cairo. The IMAM author proclaimed that the official status of women was that of “higher order mammal,” as are camels, not however equivalent with that of man. The human worth of a woman and camel is about equal.

According to whom?


Source of this being taught in American schools?

Sounds fucked up. Do we have a circumcision problem in America?

The entry is interrupted by materials data
Entry 1:
Ac4Ga2Pb: calculated powder XRD pattern (Cu Kα (weighted mean of Kα1 and Kα2)), based on a cell relaxed with PBE.
Lines closer than 0.1° are merged.

Unit cell a=10.3229 b=8.9348 c=8.9231 alpha=70.63 beta=54.74 gamma=54.63
Atoms (fractional coordinates):
Ac 0.1207 0.3079 0.3086
Ac 0.2372 0.6914 0.6921
Ac 0.3079 0.1207 0.7628
Ac 0.3086 0.7628 0.1207
Ac 0.6914 0.2372 0.8793
Ac 0.6921 0.8793 0.2372
Ac 0.7628 0.3086 0.3079
Ac 0.8793 0.6921 0.6914
Ga 0.0000 0.0000 0.0000
Ga 0.0000 0.0000 0.5000
Ga 0.0000 0.5000 0.0000
Ga 0.5000 0.0000 0.0000
Pb 0.3750 0.3750 0.3750
Pb 0.6250 0.6250 0.6250

The 6 most intense peaks (10 to 90 degrees two-theta), in order of rising 2θ:
17.18°, I 23; 24.41°, I 41; 27.38°, I 100; 32.47°, I 60; 41.05°, I 35; 44.88°, I 27

Entry 2:
TbPmCuHg: calculated powder XRD pattern (Cu Kα (weighted mean of Kα1 and Kα2)), based on a cell relaxed with PBE.
Lines closer than 0.1° are merged.

Unit cell a=3.6089 b=3.6089 c=7.4929 alpha=90.00 beta=90.00 gamma=90.00
Atoms (fractional coordinates):
Tb 0.0000 0.0000 0.0000
Pm 0.0000 0.0000 0.5425
Cu 0.5000 0.5000 0.7867
Hg 0.5000 0.5000 0.2621

The 6 most intense peaks (10 to 90 degrees two-theta), in order of rising 2θ:
27.43°, I 17; 34.51°, I 100; 35.17°, I 50; 50.58°, I 18; 61.40°, I 16; 62.68°, I 35

* * * * *

[1]
Mg8AlGa6: calculated X-ray powder pattern (copper Kα), based on the GGA-PBE geometry in Alexandria.
Neutral-atom scattering factors, no anomalous dispersion.

Atomic structure:
```
data_Mg8AlGa6
_space_group_name_H-M_alt 'R -3'
_space_group_IT_number 148
_space_group_name_Hall '-R 3'
_cell_length_a 7.8859
_cell_length_b 7.8859
_cell_length_c 17.9612
_cell_angle_alpha 90.00
_cell_angle_beta 90.00
_cell_angle_gamma 120.00
loop_
_atom_site_label
_atom_site_type_symbol
_atom_site_fract_x
_atom_site_fract_y
_atom_site_fract_z
Mg1 Mg 0.0000 0.0000 0.1665
Mg2 Mg 0.0028 0.6611 0.3850
Al1 Al 0.0000 0.0000 0.5000
Ga1 Ga 0.0018 0.6783 0.5581
```

Top 8 peaks for 2θ = 10–80°, in order of rising 2θ:
| d/Å | I/Imax | hkl |
| --- | --- | --- |
| 5.987 | 26 | 0 0 3 |
| 3.943 | 37 | 1 1 0 |
| 3.293 | 51 | 1 1 3 |
| 2.384 | 100 | 1 1 6 |
| 2.276 | 80 | 3 0 0 |
| 1.646 | 30 | 4 -2 6 |
| 1.399 | 18 | 2 -1 12 |
| 1.334 | 28 | 4 1 6 |

[2]
Ti2Bi2O7: calculated X-ray powder pattern (copper Kα), based on the GGA-PBE geometry in Alexandria.
Neutral-atom scattering factors, no anomalous dispersion.

Atomic structure:
a b c (Å): 10.4076 10.4076 10.4076
angles (deg): 90.00 90.00 90.00
Space group Fd-3m (No. 227, origin choice 2)
Unique sites:
Ti 0.0000 0.0000 0.0000 [16 per cell]
Bi 0.0000 0.0000 0.5000 [16 per cell]
O 0.0738 0.3750 0.3750 [48 per cell]
O 0.1250 0.1250 0.6250 [8 per cell]

Top 8 peaks for 2θ = 10–80°, in order of rising 2θ:
| d/Å | I/Imax | hkl |
| --- | --- | --- |
| 6.009 | 40 | 1 1 1 |
| 3.138 | 25 | 3 1 1 |
| 3.004 | 100 | 2 2 2 |
| 2.602 | 34 | 4 0 0 |
| 2.388 | 25 | 3 3 1 |
| 2.003 | 14 | 5 1 1 |
| 1.840 | 46 | 4 4 0 |
| 1.569 | 44 | 6 2 2 |

* * * * *

# 1
# CaLa12Sm7
The entry goes on

Sounds terrible. Do we have a circumcision problem in Michigan and Minnesota?

False. Came from a satirical article years ago

Another lie

Ever since the collation of crime statistics was initiated by the Council of Europe, Sweden has had the highest number of registered rape offences in Europe by a considerable extent. In 1996, Sweden registered almost three times the average number of rape offences registered in 35 European countries. However, this does not necessarily mean rape is three times as likely to occur as in the rest of Europe, since cross-national comparisons of crime levels based on official crime statistics are problematic, due to a number of factors described below.[13][14][15][16]

In 2014, there were 6,697 rapes reported to the Swedish police, or 69 cases per 100,000 population, according to the Swedish National Council for Crime Prevention (BRÅ), which is an 11% increase from the previous year.[17] In 2015, the number of reported rapes declined 12%, to 5918 (On the other hand, Swedish Crime Survey in 2015 showed that 1.7% of the total population or 129,000 people between 16–79 years old have exposed to some extension of sexual offenses include rape previously in their lives, increased from 1% in 2014.[18]) In 2016, the number of reported rapes increased again to 6,715.[19] The number of rapes reported to the authorities in Sweden significantly increased[4] by 10% in 2017,[20][21] according to latest preliminary figures from the Swedish National Council for Crime Prevention.[20][21] The number of reported rape cases was 73 per 100,000 citizens in 2017, up 24% in the past decade.[21] In 2018, official numbers showed that the incidence of sexual offences was on the rise;[4][22][21] the Swedish Government declared that young women are facing the greatest risks and that most of the cases go unreported.[4]

No reason to go any further…you are simply a dishonest person by nature. You can’t help yourself. I’m not a fan of Islam at all. There’s plenty you can cite without having to lie, though.